Is the 510(k) Pathway Robust Enough for the Era of AI?

Published Date: March 7, 2023
By Hugh Harvey, MBBS BSc (Hons), FRCR, MD (Res), FBIR

The US Food and Drug Administration’s (FDA) 510(k) regulatory pathway allows medical device manufacturers to identify and leverage an already marketed device to apply for premarket clearance of their own substantially equivalent device. The FDA’s logic is that two devices with the same intended use can be similar enough to either share the same technological characteristics or not raise any new safety or effectiveness concerns.1

An obvious problem of this pathway is grandfathering. Not only does grandfathering lead to a nearly endless line of devices all claiming to be identical (but “novel” to their targeted market), but it potentially creates a failure waterfall when a predicate device is subsequently recalled.

One would think that if a predicate is withdrawn from the market under FDA orders, all other substantially equivalent devices must also be withdrawn. Not so. The FDA treats every company’s new 510(k) cleared device individually once it hits the market, even though it may have received marketing clearance under the very same parameters of the device’s named predicates.

Published literature on recalled pelvic mesh devices readily demonstrates issues created by the 510(k) pathway,2-4 which speeds time-to-market while treating real patients as guinea pigs, rather than mandating rigorous premarketing clinical investigations.

When it comes to artificial intelligence (AI) imaging products, the FDA 510(k) process risks allowing technology on the market without full consideration of subtle differences between the products. AI relies on bespoke programming and “black box” machine learning to perform specific actions. In the case of medical imaging device software, these can range from triage to diagnosis. Computer programming comes in many languages and styles, with developers each having their own preferences and methodologies. No two developers will ever produce the same lines of code, let alone two identical AI models.


Since AI relies on labeled data inputs to model a latent space of knowledge, it is also obvious that no two AI systems trained on different input data sets could ever be identical. It is also inconceivably unlikely that any two models would have the same construct, layers, weights, and hyperparameters, let alone the same level of performance. Even the FDA’s own guidance defines substantial equivalence as “no significant change in the … design or other features of the device from those of the predicate device,” which clearly is not the case with AI systems.


Since substantial equivalence of AI systems cannot be reliably proven through technological characteristics, then what about safety and effectiveness? A mountain of evidence suggests that no two AI models perform the same,5 individual models perform differently in different locations,6 and are as impacted by performance drift and variability once deployed over diverse populations.7

Therefore, effectiveness is also not a reliable indicator of equivalence.

Demonstrating equivalence then hinges on safety requirements; eg, do two models trained on different data sets have the same sub-stratification and hidden biases, known to cause safety issues? Almost certainly not.

# Materials data that have nothing to do with the page
........
No. 1
First-principles (GGA-PBE) data for USi8H56C16N4 after structural relaxation, as listed in Materials Project.

Values from the calculation:
For the spin magnetization, the calculation gives 4.20 Bohr magnetons per cell. The final energy is -447.2 eV per formula unit.

a b c (Å): 10.891 10.891 19.124
angles (deg): 78.10 78.10 68.55
Fractional coordinates of all 170 atoms:
1 N 0.461 0.307 0.780
2 N 0.539 0.693 0.220
3 N 0.247 0.749 0.357
4 N 0.307 0.461 0.280
5 N 0.749 0.247 0.857
6 N 0.693 0.539 0.720
7 N 0.753 0.251 0.643
8 N 0.251 0.753 0.143
9 H 0.493 0.467 0.336
10 H 0.697 0.442 0.484
11 H 0.558 0.303 0.016
12 H 0.703 0.823 0.766
13 H 0.227 0.330 0.937
14 H 0.312 0.527 0.096
15 H 0.371 0.831 0.660
16 H 0.629 0.169 0.340
17 H 0.887 0.726 0.422
18 H 0.732 0.833 0.318
19 H 0.527 0.312 0.596
20 H 0.510 0.141 0.299
21 H 0.904 0.467 0.782
22 H 0.688 0.473 0.904
23 H 0.974 0.564 0.624
24 H 0.291 0.324 0.656
25 H 0.297 0.177 0.234
26 H 0.676 0.336 0.054
27 H 0.956 0.970 0.185
28 H 0.831 0.371 0.160
29 H 0.564 0.974 0.124
30 H 0.730 0.604 0.547
31 H 0.169 0.629 0.840
32 H 0.359 0.925 0.481
33 H 0.707 0.565 0.033
34 H 0.473 0.688 0.404
35 H 0.670 0.011 0.610
36 H 0.970 0.956 0.685
37 H 0.823 0.703 0.266
38 H 0.239 0.607 0.748
39 H 0.336 0.676 0.554
40 H 0.607 0.239 0.248
41 H 0.341 0.997 0.820
42 H 0.324 0.664 0.946
43 H 0.827 0.293 0.462
44 H 0.003 0.659 0.680
45 H 0.069 0.762 0.289
46 H 0.324 0.291 0.156
47 H 0.253 0.029 0.014
48 H 0.670 0.773 0.563
49 H 0.659 0.003 0.180
50 H 0.565 0.707 0.533
51 H 0.833 0.732 0.818
52 H 0.507 0.533 0.664
53 H 0.931 0.238 0.711
54 H 0.467 0.493 0.836
55 H 0.238 0.931 0.211
56 H 0.997 0.341 0.320
57 H 0.177 0.297 0.734
58 H 0.762 0.069 0.789
59 H 0.533 0.096 0.718
60 H 0.303 0.558 0.516
61 H 0.881 0.005 0.348
62 H 0.859 0.490 0.201
63 H 0.533 0.507 0.164
64 H 0.268 0.167 0.682
65 H 0.017 0.806 0.041
66 H 0.029 0.253 0.514
67 H 0.709 0.676 0.344
68 H 0.393 0.761 0.752
69 H 0.467 0.904 0.282
70 H 0.726 0.887 0.922
71 H 0.005 0.881 0.848
72 H 0.676 0.709 0.844
73 H 0.398 0.960 0.057
74 H 0.641 0.075 0.519
75 H 0.707 0.173 0.038
76 H 0.435 0.293 0.467
77 H 0.044 0.030 0.815
78 H 0.040 0.602 0.443
79 H 0.604 0.730 0.047
80 H 0.664 0.324 0.446
81 H 0.984 0.023 0.091
82 H 0.490 0.859 0.701
83 H 0.733 0.871 0.127
84 H 0.023 0.984 0.591
85 H 0.330 0.989 0.390
86 H 0.026 0.436 0.376
87 H 0.442 0.697 0.984
88 H 0.113 0.274 0.578
89 H 0.396 0.270 0.953
90 H 0.096 0.533 0.218
91 H 0.925 0.359 0.981
92 H 0.761 0.393 0.252
93 H 0.602 0.040 0.943
94 H 0.983 0.194 0.959
95 H 0.011 0.670 0.110
96 H 0.141 0.510 0.799
97 H 0.989 0.330 0.890
98 H 0.129 0.267 0.373
99 H 0.293 0.827 0.962
100 H 0.977 0.016 0.409
101 H 0.436 0.026 0.876
102 H 0.167 0.268 0.182
103 H 0.330 0.227 0.437
104 H 0.030 0.044 0.315
105 H 0.995 0.119 0.152
106 H 0.960 0.398 0.557
107 H 0.773 0.670 0.063
108 H 0.119 0.995 0.652
109 H 0.293 0.435 0.967
110 H 0.806 0.017 0.541
111 H 0.075 0.641 0.019
112 H 0.267 0.129 0.873
113 H 0.747 0.971 0.986
........

Equally, if not more, pertinent, the device’s intended use must also be the same as the predicate device in order for the company to claim equivalence. How then can one AI system intended to triage chest X-rays for pneumothorax be deemed the same as one intended for triaging CT head studies for brain aneurysms?5 The FDA lumps both systems into one product code simply because they both triage, ignoring the significant clinical differences in risk between the use cases. Ultimately, this raises the question: is the 510(k) pathway sufficiently robust for this era of AI?

Neither European Union or United Kingdom medical device regulations rely on substantial equivalence as a factor in rendering marketing approval. Each device is audited on its own premarketing evidence plus robust post-market follow-up studies. While US manufacturers are likely to balk at the idea of providing additional evidence, that is simply the reality for device manufacturers here across the pond.

Perhaps the FDA eventually will come around, but as the saying goes, “regulations are written in blood.” Let’s hope it doesn’t come to that.


Harvey H. Is the 510(k) Pathway Robust Enough for the Era of AI?. Appl Radiol. 2023;(2):26-27.

March 7, 2023